My Vegan Story
“For me, the way to a vegan lifestyle is through the stomach.”
For most people, the main reason they stick with animal products is that they can’t bear the idea of never having another slice of cheesy, melty, magnificent pizza. That was my story, too.
I spent my late teens and early 20s working in seafood restaurants. Growing up in a state known for its crabs means I was raised on crabcakes, fish stuffed with crabmeat, crab puffs… And, good lord, all the Old Bay. But, I didn’t fall in love with food until my mid-20s when I was a publicist in Las Vegas.
I naturally gravitated to restaurant clients and soon enough was working with chefs who had been honored by the James Beard Foundation. At 27 years old, I was spoiled rotten by the food around me. Towering stands filled with ice and topped with fresh crab legs and oysters. Tender cuts of filet mignon. Creamy, gooey cheese spread atop crispy baguette slices.

It wasn’t until I went on a trip to Croatia that I looked the seafood industry in the face, quite literally. That summer, I ended up on a tiny boat bobbing up and down in the crystal clear water of the Adriatic Sea off the coast of Croatia. The guesthouse owner invited us to fish with her. Using styrofoam slabs with fishing wire wrapped around it and a small hook attached to the end, we’d fling the wire with all our might into the sea.
The piece is interrupted by data records.
********
Entry 1:
This record from the Materials Project database describes an optimized crystal structure of NaAlSi2O6. The functional is GGA-PBE.

Formation enthalpy at 0 K (eV/f.u.): -31.776
SG: C2/c
Excess energy over the best structure of this formula in the dataset (meV per atom): 0
V (Å³ per cell): 1322.3

a = 11.9537 Å, b = 11.9537 Å, c = 13.8779 Å
α = 125.25°, β = 125.25°, γ = 69.61°
Closest atoms and distances in Å follow each position.
Fractional positions:
Na 0.1392 0.6468 0.8971  4 O 2.37-2.44
Na 0.2493 0.2798 0.6131  4 O 2.39-2.59
Na 0.2798 0.2493 0.1131  4 O 2.39-2.59
Na 0.3532 0.8608 0.6029  4 O 2.37-2.44
Na 0.6468 0.1392 0.3971  4 O 2.37-2.44
Na 0.7202 0.7507 0.8869  4 O 2.39-2.59
Na 0.7507 0.7202 0.3869  4 O 2.39-2.59
Na 0.8608 0.3532 0.1029  4 O 2.37-2.44
Al 0.0362 0.2154 0.2844  4 O 1.74-1.77
Al 0.2154 0.0362 0.7844  4 O 1.74-1.77
Al 0.2828 0.4626 0.0329  4 O 1.75-1.77
Al 0.4626 0.2828 0.5329  4 O 1.75-1.77
Al 0.5374 0.7173 0.4671  4 O 1.75-1.77
Al 0.7173 0.5374 0.9671  4 O 1.75-1.77
Al 0.7846 0.9638 0.2156  4 O 1.74-1.77
Al 0.9638 0.7846 0.7156  4 O 1.74-1.77
Si 0.0429 0.2993 0.7528  4 O 1.61-1.67
Si 0.0674 0.7485 0.5289  4 O 1.62-1.66
Si 0.2009 0.4553 0.4115  4 O 1.61-1.67
Si 0.2519 0.5676 0.2911  4 O 1.62-1.66
Si 0.2515 0.9326 0.9711  4 O 1.62-1.66
Si 0.2993 0.0429 0.2528  4 O 1.61-1.67
Si 0.4324 0.7481 0.2089  4 O 1.62-1.66
Si 0.4553 0.2009 0.9115  4 O 1.61-1.67
Si 0.5447 0.7991 0.0885  4 O 1.61-1.67
Si 0.5676 0.2519 0.7911  4 O 1.62-1.66
Si 0.7007 0.9571 0.7472  4 O 1.61-1.67
Si 0.7485 0.0674 0.0289  4 O 1.62-1.66
Si 0.7481 0.4324 0.7089  4 O 1.62-1.66
Si 0.7991 0.5447 0.5885  4 O 1.61-1.67
Si 0.9326 0.2515 0.4711  4 O 1.62-1.66
Si 0.9571 0.7007 0.2472  4 O 1.61-1.67
O 0.0252 0.2537 0.4214  1 Si 1.62, 1 Al 1.76
O 0.0498 0.2595 0.6197  2 Si 1.66-1.67
O 0.0609 0.3680 0.3058  1 Si 1.63, 1 Al 1.77
O 0.1005 0.1739 0.7832  1 Si 1.61, 1 Al 1.74
O 0.1183 0.6708 0.2852  2 Si 1.63-1.64
O 0.1184 0.8383 0.8698  1 Si 1.62, 1 Al 1.76
O 0.1316 0.4378 0.8780  1 Si 1.63, 1 Al 1.77
O 0.1617 0.8816 0.6302  1 Si 1.62, 1 Al 1.76
O 0.1728 0.6162 0.5064  2 Si 1.64
O 0.1739 0.1005 0.2832  1 Si 1.61, 1 Al 1.74
O 0.2497 0.4502 0.3183  2 Si 1.66-1.67
O 0.2520 0.4756 0.1484  1 Si 1.62, 1 Al 1.76
O 0.2537 0.0252 0.9214  1 Si 1.62, 1 Al 1.76
O 0.2595 0.0498 0.1197  2 Si 1.66-1.67
O 0.3206 0.3942 0.5092  1 Si 1.61, 1 Al 1.75
O 0.3292 0.8817 0.2148  2 Si 1.63-1.64
O 0.3366 0.6160 0.0838  1 Si 1.62, 1 Al 1.75
O 0.3680 0.0609 0.8058  1 Si 1.63, 1 Al 1.77
O 0.3840 0.6634 0.4162  1 Si 1.62, 1 Al 1.75
O 0.3838 0.8272 0.9936  2 Si 1.64
O 0.3942 0.3206 0.0092  1 Si 1.61, 1 Al 1.75
O 0.4378 0.1316 0.3780  1 Si 1.63, 1 Al 1.77
O 0.4502 0.2497 0.8183  2 Si 1.66-1.67
O 0.4756 0.2520 0.6484  1 Si 1.62, 1 Al 1.76
O 0.5244 0.7480 0.3516  1 Si 1.62, 1 Al 1.75
O 0.5498 0.7503 0.1817  2 Si 1.66-1.67
O 0.5622 0.8684 0.6220  1 Si 1.63, 1 Al 1.77
O 0.6058 0.6794 0.9908  1 Si 1.61, 1 Al 1.75
O 0.6162 0.1728 0.0064  2 Si 1.64
O 0.6160 0.3366 0.5838  1 Si 1.62, 1 Al 1.75
********
The data records stop here.
A few times we caught fish. As she took them off the hook, I saw a little blood and it made my body tense up and sad. I couldn’t bear to watch as the fish fought for its last breath. But, that night I still ate the dish she prepared featuring our bounty from the sea. However, something had shifted in me.
When I returned to the States after my seven months of travel, I began work as the director of communication for a restaurant group. My life was filled with lavish dinners paired with extravagant wines.
Then, things changed. I moved to Thailand to work in elephant rescue in July 2012. I had only been in the country a week and everything was still new to me. On the ride home from work, crowded into a van, I pressed my face against the window. I was like a kid, awe-struck by the life outside my window. The speeding motorbikes. The pick-up trucks with 10 people crammed into its bed. The stray dogs with missing limbs eating on the side of the road.
And then, a truck filled with pigs being taken to slaughter. Their pink heads poking out the slats as it passed us. My heart filled with sadness as I watched them being taken away. I thought of the animals at the sanctuary. The animals I’ve grown up with. I thought of the animals on my plate. Bacon. Steak. Chicken.
I was filled with resolve: I will never eat meat again. It wasn’t even something I pondered. That. Was. It. I said to myself, and it truly was, I never ate meat again.
However, it took me a couple more years to go vegan. Even though I worked at the sanctuary and was around vegans, I’d readily admit to anyone I couldn’t give up cheese. Or eggs. Or pizza. I was selfish and I was ok with it.
Until I wasn’t.

One day, I was strong enough to admit that my life, tastebuds, and cravings were no more important than other living beings. I didn’t want to be responsible for the pain or death of any animal ever again. I couldn’t keep ignoring the impact the egg and dairy industry has on animals. I knew these industries were, in fact, crueler than the meat industry.
But, it wasn’t reading about factory farms or watching documentaries that changed me. It was acknowledging that my desire for these foods was not more important than an animal’s life.
Working in animal rights, I learned the best way to make a change is to lead by example while being kind and listening. I wanted to use that knowledge combined with my restaurant PR experience to help people make the switch to vegan foods. So, when I returned to Las Vegas, I launched Vegans, Baby. My goal was to show people it isn’t so hard to cut out animal products after all.
== Records of crystals, as found in the file ==
┌──
K3Nb6SBr17 | PBE | optimized geometry

Structure (CIF):
```
data_K3Nb6SBr17
_chemical_formula_sum 'K12 Nb24 S4 Br68'
_cell_length_a 17.7503
_cell_length_b 19.1501
_cell_length_c 9.5582
_cell_angle_alpha 90.00
_cell_angle_beta 91.04
_cell_angle_gamma 90.00
_symmetry_space_group_name_H-M 'C 1 2/c 1'
_symmetry_Int_Tables_number 15
_symmetry_space_group_name_Hall '-C 2yc'
loop_
_atom_site_label
_atom_site_type_symbol
_atom_site_fract_x
_atom_site_fract_y
_atom_site_fract_z
K1 K 0.0000 0.0393 0.2500
K2 K 0.2270 0.4494 0.1569
Nb1 Nb 0.0161 0.3197 0.5188
Nb2 Nb 0.0713 0.1871 0.6429
Nb3 Nb 0.1250 0.3228 0.7617
S1 S 0.0000 0.2772 0.7500
Br1 Br 0.0000 0.3821 0.2500
Br2 Br 0.0591 0.4325 0.8896
Br3 Br 0.0641 0.1229 0.8958
Br4 Br 0.0793 0.2183 0.3793
Br5 Br 0.1259 0.2750 0.0266
Br6 Br 0.1267 0.0592 0.5606
Br7 Br 0.1441 0.3886 0.5222
Br8 Br 0.2133 0.2211 0.6834
Br9 Br 0.2455 0.1078 0.1654
```

Calculated values
Calculated volume: 30.1 A^3/atom
E_form: -1.493 eV per atom
MP2020-corrected energy: -5.045 eV/atom


No. 1
# GGA+U MoSCl7O, relaxed
# - Volume: 27.9 Å³ per atom
# - DFT formation energy: -60.1 kJ/mol of atoms
# - Crystal system: monoclinic
# - Density: 2.33 g cm⁻³
# - Final energy: -3.521 eV per atom
data_MoSCl7O
_chemical_formula_sum 'Mo4 S4 Cl28 O4'
_cell_length_a 10.028
_cell_length_b 9.553
_cell_length_c 12.847
_cell_angle_alpha 90.00
_cell_angle_beta 114.86
_cell_angle_gamma 90.00
_space_group_name_H-M_alt 'P 1'
_space_group_IT_number 1
_space_group_name_Hall 'P 1'
loop_
_atom_site_label
_atom_site_type_symbol
_atom_site_fract_x
_atom_site_fract_y
_atom_site_fract_z
Mo1 Mo 0.156 0.161 0.002
Mo2 Mo 0.156 0.339 0.502
Mo3 Mo 0.844 0.661 0.498
Mo4 Mo 0.844 0.839 0.998
S1 S 0.282 0.738 0.987
S2 S 0.282 0.762 0.487
S3 S 0.718 0.238 0.513
S4 S 0.718 0.262 0.013
Cl1 Cl 0.033 0.545 0.386
Cl2 Cl 0.033 0.955 0.886
Cl3 Cl 0.064 0.708 0.100
Cl4 Cl 0.064 0.792 0.600
Cl5 Cl 0.180 0.581 0.878
Cl6 Cl 0.180 0.919 0.378
Cl7 Cl 0.219 0.179 0.653
Cl8 Cl 0.219 0.321 0.153
Cl9 Cl 0.333 0.000 0.137
Cl10 Cl 0.333 0.500 0.637
Cl11 Cl 0.395 0.672 0.406
Cl12 Cl 0.395 0.828 0.906
Cl13 Cl 0.445 0.637 0.117
Cl14 Cl 0.445 0.863 0.617
Cl15 Cl 0.555 0.137 0.383
Cl16 Cl 0.555 0.363 0.883
Cl17 Cl 0.605 0.172 0.094
Cl18 Cl 0.605 0.328 0.594
Cl19 Cl 0.667 0.000 0.863
Cl20 Cl 0.667 0.500 0.363
Cl21 Cl 0.781 0.679 0.847
Cl22 Cl 0.781 0.821 0.347
Cl23 Cl 0.820 0.081 0.622
Cl24 Cl 0.820 0.419 0.122
Cl25 Cl 0.936 0.208 0.400
Cl26 Cl 0.936 0.292 0.900
Cl27 Cl 0.967 0.045 0.114
Cl28 Cl 0.967 0.455 0.614
O1 O 0.256 0.215 0.930
O2 O 0.256 0.285 0.430
O3 O 0.744 0.715 0.570
O4 O 0.744 0.785 0.070

***

No. 2
# GGA+U Sr2AlCu2MoO7, relaxed
# - Volume: 13.5 Å³ per atom
# - DFT formation energy: -207.3 kJ/mol of atoms
# - Crystal system: monoclinic
# - Density: 5.07 g cm⁻³
# - Final energy: -6.209 eV per atom
data_Sr2AlCu2MoO7
_chemical_formula_sum 'Sr4 Al2 Cu4 Mo2 O14'
_cell_length_a 12.475
_cell_length_b 12.475
_cell_length_c 5.436
_cell_angle_alpha 102.32
_cell_angle_beta 102.32
└──
I showcased restaurants with vegan options and encouraged restaurants to add more choices to their menus. I wanted to show people that vegan food was exciting, approachable, accessible, and most of all: full-flavored.
“I don’t think I’d like vegan food,” so many people tell me.
Then, I take them to a restaurant and we feast on creamy cheese and crackers, rich sushi with seaweed pearls, King oyster mushroom calamari, gooey cheese pizza, decadent ice cream. All vegan. What can they say after that?
I love challenging and changing the preconceived notions of vegan food. It isn’t all bland, boring salads, limp french fries, and dry baked potatoes. There’s a whole world of delicious and surprising foods out there. I started to see overwhelming success with Vegans, Baby. I was constantly fielding requests for more opportunities to showcase vegan food. The business naturally expanded and I kept pace with the dynamic and booming vegan market. This turned into hosting international vegan food tours, the James Beard House dinners, and curating vegan food for major events like Life is Beautiful. But most importantly, it’s helped individuals.
• Attached: crystal structures:
K6Zn4Sn5S17 | PBE | relaxed

Summary:
**Corrected total energy (MP2020 scheme)**: -272.9 eV/cell
**Magnetization**: 0.00 μB per formula unit
**Energy**: -255.76 eV per cell
**Energy of formation from the pure elements**: -1.07 eV/atom

Unit cell a=9.8815 b=19.8182 c=11.0257 alpha=90.00 beta=116.26 gamma=90.00
Last column: nearest neighbours and their distance in Å.
Space group C2 (No. 5)
One atom of each set of equivalent atoms:
K: 0.0000 0.0000 0.0000 [2 per cell]  6 S 3.23-3.42
K: 0.0000 0.0751 0.5000 [2 per cell]  2 S 3.27
K: 0.0000 0.4823 0.0000 [2 per cell]  6 S 3.24-3.43
K: 0.0000 0.7419 0.0000 [2 per cell]  8 S 3.49-3.52
K: 0.2438 0.2438 0.4818 [4 per cell]  6 S 3.22-3.45
Zn: 0.0690 0.1730 0.8635 [4 per cell]  4 S 2.34-2.37
Zn: 0.2059 0.3107 0.1379 [4 per cell]  4 S 2.35-2.37
Sn: 0.0000 0.4905 0.5000 [2 per cell]  4 S 2.43-2.45
Sn: 0.1103 0.3531 0.7769 [4 per cell]  4 S 2.39-2.49
Sn: 0.1648 0.6306 0.7766 [4 per cell]  4 S 2.40-2.49
S: 0.0000 0.2416 0.0000 [2 per cell]  4 Zn 2.34-2.36
S: 0.0679 0.5634 0.3564 [4 per cell]  2 Sn 2.45-2.49
S: 0.0821 0.7450 0.7224 [4 per cell]  1 Zn 2.37, 1 Sn 2.40
S: 0.1314 0.1021 0.2790 [4 per cell]  1 Zn 2.37, 1 Sn 2.42
S: 0.1406 0.2373 0.7215 [4 per cell]  1 Zn 2.36, 1 Sn 2.43
S: 0.1462 0.3809 0.2793 [4 per cell]  1 Zn 2.35, 1 Sn 2.39
S: 0.2113 0.4198 0.6439 [4 per cell]  2 Sn 2.43-2.49
S: 0.2168 0.8798 0.9936 [4 per cell]  1 Zn 2.35, 1 Sn 2.40
S: 0.2247 0.6026 0.0069 [4 per cell]  1 Zn 2.36, 1 Sn 2.40

***

Na2CuBSO7 | PBE | relaxed

Summary:
**Corrected total energy (MP2020 scheme)**: -151.6 eV/cell
**Magnetization**: 0.00 μB per formula unit
**Energy**: -142.01 eV per cell
**Energy of formation from the pure elements**: -1.97 eV/atom

Unit cell a=5.0697 b=7.3399 c=8.7614 alpha=90.00 beta=91.37 gamma=90.00
Last column: nearest neighbours and their distance in Å.
Space group P2_1/m (No. 11)
One atom of each set of equivalent atoms:
Na: 0.2320 0.0019 0.2695 [4 per cell]  4 O 2.28-2.49
Cu: 0.2260 0.2500 0.8446 [2 per cell]  4 O 1.86-2.01
B: 0.2740 0.2500 0.5742 [2 per cell]  3 O 1.32-1.40
S: 0.2783 0.7500 0.9209 [2 per cell]  4 O 1.47-1.53
O: 0.0424 0.2500 0.6576 [2 per cell]  1 B 1.40
O: 0.1399 0.7500 0.0718 [2 per cell]  1 S 1.51
O: 0.2150 0.5840 0.8341 [4 per cell]  1 S 1.47
O: 0.2879 0.2500 0.4242 [2 per cell]  1 B 1.32
O: 0.4260 0.2500 0.0393 [2 per cell]  1 S 1.53
O: 0.4763 0.2500 0.6865 [2 per cell]  1 B 1.40

***

CsGaSe2O6 | PBE | relaxed

Summary:
**Corrected total energy (MP2020 scheme)**: -460.7 eV/cell
**Magnetization**: 0.00 μB per formula unit
**Energy**: -427.73 eV per cell
**Energy of formation from the pure elements**: -1.70 eV/atom

Unit cell a=14.3381 b=5.5959 c=18.6150 alpha=90.00 beta=107.78 gamma=90.00
Last column: nearest neighbours and their distance in Å.
Space group C2/m (No. 12)
One atom of each set of equivalent atoms:
Cs: 0.0000 0.0000 0.0000 [2 per cell]  12 O 3.41-3.78, 2 Se 3.79
Cs: 0.0000 0.5000 0.5000 [2 per cell]  4 O 3.24
So many people tell me they’ve fallen in love with vegan food since trying my recommendations. Chefs who were previously stuck on an omnivore rotation have braved the leap into the vegan world to feed Vegans, Baby clients and haven’t looked back.
When I think of myself in that van, watching the pigs being taken to their death, feeling so low, I wish I could tell my past self that it will be okay. That this moment would change not just my life but the lives of thousands of others. That the ache in my heart at that moment would turn to warmth and joy, at seeing thousands of people trying, enjoying, and choosing vegan food.